Hire Everyone: Scholarly Publishing and Cooperative Sustainability
Compensating people for their efforts
Scholarship is indelibly marked by the jobs crisis in higher education. The loss of opportunity, mobility, and freedom for academics shape what is researched, taught, and published. Precarity and casualization of employment are now the prevailing conditions of academic labor. While a complex network of factors have resulted in our present moment, we can also observe that academic institutions, who for decades touted their exclusion rates as marks of quality, have come to realize those logically adjacent effects of striving to leave people out.
As academic publishing evolves toward Open Access, creating new sites of knowledge sharing and production, the publishing community has an opportunity to learn from institutional academia so that we might develop more inclusive, sustainable practices. But what do we mean when we evoke sustainability? Too often the term is conflated with conservation, a kind of scaling back that asks scholars to do more, or maintain the status quo, with less. Notions of sustainability have lent their support to scarcity narratives that attempt to justify the current state of academia.
New sites of knowledge sharing can be truly sustainable if they sustain the people who occupy those spaces. The operation of such spaces must veer away from conservation-focused practices that have led to the devaluation of intellectual labor, the devaluation of critical and creative production. We must acknowledge that such production sustains us, individually and as communities, in profound and mundane ways. Only with such signification can we begin to approach meaningful transactions and exchanges toward a thriving industry for publishing.
If we are to recognize the complex and variegated significance of publishing knowledge, which might hopefully supplant current discourse on impact and concurrently acknowledge the consequence of such work for its laborers, it can no longer be acceptable that any element of this production might exist without remuneration. As we create new spaces for learning through Open Access, the age of indirect compensation covered by the institution, is long over. The practice of sustainable compensation must extend to every aspect of publishing, including composition, editing, and peer review.
The opening of spaces for scholarship necessitates a recognition that knowledge production is open to a multitude of forms. Expanding our vision of knowledge forms proliferates possibilities in who might participate in its production. Therefore, efforts to arrive at Open Access are more closely fulfilled by enacting welcoming and democratic sites for knowledge sharing. We must acknowledge that a significant amount of labor and number of laborers is necessary to maintain these spaces. This industry will be sustainable, therefore, through investment and infrastructure to sustain those people, communities, and forms of participation that enable scholarly publishing.
Academia’s job crisis has resulted in the un- or under-employment of people highly invested, interested, and skilled in the production of scholarship. Cooperative organizing can counteract this trend by sharing power and ownership among those engaged in scholarly work. This structure can allow more people to guide the industry of academic publishing toward innovative spaces and polyphony, engendering greater participation. It is the generation of scholarship that results from sustaining more people that will in turn further sustain scholarly publishing. We must reject the impulse for efficiency in favor of a desire to flourish.
Therefore, it is not within the purview of this piece of writing to outline a solution for scholarly publishing. Instead, our work here is to advance a belief that there are many people — some working within the institution, some who persisted through graduate school and were unable to gain institutional employment afterwards, some who left graduate school realizing that it was no longer sustainable for them, some who never had the opportunity and privilege to participate in higher education but have the desire and will to share and develop knowledge, and many more — who themselves are solutions for scholarly publishing. The more pressing work at present, then, is to empower and sustain those people. Our contention is that developing cooperative organizations can sustain people and thereby result in a multiplicity of pathways to generate the industry of publishing.
Introducing coops to knowledge production
The cooperative model is envisioned in this proposal as a way of rethinking Open Access scholarly publishing as a means to encourage horizontal, diverse, and plural decision making and ownership. A coop is an enterprise or organisation that is owned and managed by its members for the purpose of meeting their common needs (https://www.uk.coop/understanding-co-ops/what-co-op). According to the International Cooperative Alliance (ICA), cooperatives are driven by the following ideals and principles:
voluntary membership
democratic member control
member economic participation
autonomy and independence
education, training, and information
cooperation among cooperatives
concern for community
Following cooperative values in Open Access knowledge production and dissemination could lead to sustainable and fair publishing as well as alternative, diverse, and multidimensional knowledges1. The cooperative model is concerned with fostering and nurturing communities, a value that aligns with academic knowledge and OA publishing.
The cooperative framework facilitates power sharing by untangling hierarchies and information flows. Every worker or member — which for publishing might include, though is not limited to, authors, reviewers, designers, developers, governance facilitators, and editors — would collaborate as unalienated co-owners of the venture. The coop model supports equitable compensation and participation in decision making processes. Transparency would be critical to the facilitation of these processes, which would further advance the goals of a publisher working to be open and accessible.
While cooperatives can subsist within a capitalist context, they can also challenge its underlying assumptions by redefining value. The cooperative provides additional vocabulary for the multivalent value of knowledges. We also know that for too long we have prioritised certain forms, regions, languages to the detriment of all knowledges. Both a cooperative organization and labor to share knowledge assert that the more we work together, the greater our opportunity to thrive. The work of publishing cooperatives can shift public discourse and funding streams toward a more expansive view of value.
Creating infrastructure for publishing coops
To encourage the development of cooperatives for the publishing industry, we imagine the following possibilities. First, as cooperatives encourage the breaking of silos, we seek out adjacent industries that can conspire with scholarly publishing, such as the arts and education. Both social and technical infrastructure must be crafted to re-envision communication to replace hierarchical decision making and adopt values of co-operation, co-ownership, and co-production. By encouraging transparency and new collaborations, we can eschew prescriptive modes of being and imagine, as the Zapatistas have asserted, ‘a world where many worlds fit.’
If we are to create a cooperative for the development of cooperatives, infrastructure might include a hub for sharing and discussing information and ideas to develop the tools and practices for new forms of OA publishing. Such an organization would strive for community where people can meet, exchange ideas, find collaborators, resources, co-create values and experiment — a critical space without a box for people to think inside or outside of where radical un-hierarchical projects can come to life. By rethinking transaction and exchange, we would embark upon a network of collaborators that can help promote and support the development of each other's initiatives, for example through the exchange of available skills and resources. Our aim is to develop an open and accessible space where we might exchange knowledge on those practices and procedures to better facilitate the exchange of knowledge. If you would like to participate in these initiatives, we welcome you to join us at The New Cooperative.
If the trajectory of scholarly publishing is truly to become open and accessible, it must counter institutional academia’s trends toward precarity and alienation. Cooperatives provide a plausible structure to support more people and revitalize the industry of scholarship by asserting our interdependence. We are called to operate on the belief that our resources are not scarce, nor that this can only be a meaningful career for the lucky few. We know the magnitude and worth of our work, and the amount of human effort required. So hire everyone, share ownership and solidarity to not simply sustain but generate scholarly publishing.
I love this vision. The question of how to generate funds to sustain a cooperative, when neither authors nor readers are charged, is an important challenge—one that I try to address in my own piece in this series.
Jefferson Pooley:
It makes total sense that everyone involved should be compensated, but is there a difference between one-off authors and subject-specific reviewers—folks who might not be good candidates for membership? I suppose the “worker or member” phrase is meant to capture that distinction.
== Inserted here: quantum chemistry results ==
=====
# 1
A single C3H5NO2 molecule in a non-equilibrium geometry, computed with wB97M-V/def2-TZVPD.

Results
SMILES: C/N=C(/O)C=O
LUMO level (spin up / spin down) in eV: -0.20 / -0.86
E_HOMO (spin up / spin down) in eV: -8.234 / -8.238
Energy in eV: -8772.23017
Net charge: 0
HOMO-LUMO gap (spin up / spin down) in eV: 8.03 / 7.38
Largest force on an atom in hartree/bohr: 0.029

Positions of all 11 atoms, in Å:
C1 1.3985 0.5872 -0.5245
N1 0.6830 -0.0706 0.5451
C2 -0.5519 -0.6635 0.2521
O1 -0.6381 -2.0093 0.1521
C3 -1.3906 0.4008 0.3361
O2 -0.6070 1.3628 0.8010
H1 2.0292 1.3723 -0.1090
H2 0.7555 0.9749 -1.3227
H3 2.0636 -0.1795 -0.9443
H4 -1.3168 -2.3524 0.7474
H5 -2.4254 0.5773 0.0667

Atomic forces in eV per Å
C 0.11 -0.13 0.00
N -0.01 -1.09 -0.41
C 1.11 -0.28 0.29
O -0.06 0.34 0.08
C 0.38 1.28 0.49
O -1.41 -0.18 -0.39
H -0.07 0.00 -0.02
H -0.01 -0.01 0.11
H -0.04 0.10 -0.03
H -0.02 0.06 -0.11
H 0.02 -0.08 -0.01


# 2
A molecular structure, C7H4F10O2STeTi in a non-equilibrium geometry, computed with wB97M-V/def2-TZVPD.

Results
LUMO level (spin up / spin down) in eV: -4.76 / -6.70
E_HOMO (spin up / spin down) in eV: -12.994 / -13.600
2S+1: 2
Energy in eV: -79834.08504
Net charge: +1
HOMO-LUMO gap (spin up / spin down) in eV: 8.24 / 6.90
Expectation value of S²: 0.7769
Largest force on an atom in hartree/bohr: 0.020

Positions of all 26 atoms, in Å:
Ti1 0.7278 -2.0076 -0.7499
F1 -3.1894 3.7552 0.4615
C1 -2.1168 3.0099 0.3519
C2 -2.2220 1.7440 -0.2313
F2 -3.3946 1.3179 -0.6697
C3 -1.1047 0.9720 -0.3347
F3 -1.2282 -0.2275 -0.9140
C4 0.1602 1.4020 0.1270
S1 1.5540 0.4644 0.0235
C5 0.2208 2.6958 0.7006
F4 1.3671 3.1547 1.1543
C6 -0.8974 3.4838 0.8170
F5 -0.8305 4.6822 1.3679
F6 2.4582 0.0097 -4.0567
Te1 2.0650 -1.6911 -3.4787
F7 1.9571 -2.4312 0.3707
F8 3.4603 -1.4715 -2.3062
F9 1.7528 -3.2199 -2.0273
F10 -0.6035 -3.1040 -0.9005
O1 0.7451 -1.0340 -2.3810
C7 0.0954 -1.9113 2.4231
O2 -0.3892 -1.6183 1.0803
H1 0.0675 -2.9821 2.6023
H2 -0.5256 -1.3803 3.1373
H3 1.1170 -1.5574 2.4762
H4 -1.2465 -2.0554 0.9563

Atomic forces in eV per Å
Ti -0.48 0.57 0.07
F 0.09 -0.06 -0.02
C -0.26 0.15 0.02
C -0.25 0.03 -0.04
F 0.07 0.04 0.03
C 0.13 -0.12 -0.03
F -0.04 -0.01 -0.01
C -0.02 0.00 -0.07
S -0.01 -0.22 0.10
C 0.14 0.00 0.03
F 0.00 -0.07 -0.05
C -0.05 0.25 0.09
F 0.00 -0.07 -0.04
F 0.05 0.83 -0.48
Te 0.06 -0.89 -0.45
F 0.89 -0.38 0.42
F 0.57 0.12 0.26
F -0.28 0.11 0.18
F -0.56 -0.33 -0.14
O -0.02 0.09 -0.03
C 0.00 0.05 -0.09
O -0.16 -0.19 0.11
H 0.02 -0.04 0.01
H -0.05 0.02 0.04
H 0.05 0.04 0.00
H 0.10 0.07 0.07


# 3
A single C4H6N2O molecule in a non-equilibrium geometry, computed with wB97M-V/def2-TZVPD.

Results
SMILES: Cc1cc(N)on1
LUMO level in eV: 0.88
E_HOMO in eV: -9.440
Energy in eV: -9270.64049
Net charge: 0
HOMO-LUMO gap in eV: 10.32
Largest force on an atom in hartree/bohr: 0.042

Positions of all 13 atoms, in Å:
C1 -2.3434 0.0977 -0.0701
C2 -0.8506 0.1084 -0.2617
C3 0.2254 0.4085 0.6427
C4 1.3151 -0.0547 -0.0101
N1 2.5771 -0.2293 0.5563
=====
== The article goes on ==
Jefferson Pooley:
The other question I have is about introducing payment into scholarly reviewing and authoring. Especially in the journal world, scholars don’t get paid for writing and reviewing. While this is the basis for Elsevier’s obscene profits, it is also a reflection (arguably) of a certain ethos. Maybe it’s time to retire that ethos when so many scholars are adjunctified. But there is a loss involved, one that’s worth considering, when a transactional element is introduced. The practical costs of maintaining a nonprofit publishing operation with these additional costs are also an potential issue.
Jefferson Pooley:
a great phrase
Catherine Ahearn:
With recent conversations (and other submissions to this series) in mind, I think it would be worthwhile to address how we could realign budgets (likely away from for-profit publishers) to support cooperative models. Tying a movement away from the traditional reigning outputs of monographs and journals more overtly to the parallel movement away from publishing corps. + the mechanisms for profit they have set up, even using some of the OA vocabulary (APCs, colors of OA, “subscribe to open”, etc) will help your broader point here about prompting an elemental shift in perspective to serve as a foundation to build upon.
Dan Rudmann:
It's so good and important what you bring up here but I'm struggling at the moment to give it a sufficient answer. I think realigning budgets requires a few things. First, that we get sober about the costs of this kind of labor. We often either get the big publishers gauging in the form of arguing that each published piece costs several hundred thousand dollars or we get the smaller indie presses trying to show off their efficiency by claiming they can make an entire book for $5k. If we can reframe in terms of human beings doing work and funds needed to sustain those humans, I imagine we'll have a different understanding of how publishing should operate. Second, I think this part is subjective and many people will have different ideas here, which is what we want to encourage really, but we need to convince funding bodies to fund independent cooperatives for X number of years rather than specific projects that will come and go too quickly to really sustain a person long enough to do good work. This is super tricky because it's a big investment for more nebulous results perhaps.